********
Below is a molecular structure, C28H25F4MnN7O6SSi, with properties calculated with wB97M-V/def2-TZVPD.

energy above the lowest of the compared OMol25 structures with the same formula, charge and spin: 2.7928 eV
spin multiplicity: 6
HOMO-LUMO gap (alpha / beta): 3.885 / 6.247 eV
electronic energy: -113062.78776 eV
net charge: -2

```
73
Properties=species:S:1:pos:R:3:forces:R:3:mulliken_spin:R:1
Mn -0.21685 -1.10285 -0.03716 -0.100 0.165 0.054 3.4474
S 3.98316 -2.76245 -0.94714 0.035 0.073 0.074 0.0062
Si -2.52998 -3.60106 1.40216 0.070 0.170 0.012 -0.0594
F -0.26888 1.02667 4.99043 -0.004 -0.014 0.035 0.0000
F -0.68756 1.45094 2.92068 0.010 -0.006 0.015 0.0044
F 6.21029 2.25784 0.48033 0.037 -0.107 -0.020 0.0000
F -2.16406 0.42577 4.12539 0.001 0.004 0.018 0.0000
O -0.21538 -1.11714 2.26176 -0.066 0.018 -0.113 0.0296
O 6.54714 4.97349 1.05426 -0.014 0.053 0.005 0.0000
O 2.04086 1.40215 -1.40008 -0.024 0.046 -0.062 0.0063
O 2.06904 5.64451 0.73770 -0.030 -0.036 -0.011 -0.0001
O 0.01502 -1.61076 4.44625 0.005 0.033 0.054 0.0008
O 0.61556 0.83841 0.25966 -0.318 -0.264 0.013 -0.0130
N 4.29401 5.24302 0.88269 -0.100 -0.005 -0.015 0.0000
N -1.24207 1.02271 -3.70411 -0.015 -0.062 -0.074 0.0837
N -0.33562 -0.47574 -2.28505 0.067 -0.108 -0.025 0.1998
N -2.01894 0.07722 -0.19800 0.223 -0.103 0.145 0.1652
N 0.15315 -3.70392 -1.63882 -0.127 -0.144 -0.086 0.1558
N -3.19221 1.67438 -1.29843 -0.044 -0.013 -0.031 0.0830
N 2.82391 3.50996 0.39135 0.060 -0.071 -0.085 0.0004
C -0.60536 -4.60099 -2.39288 0.056 -0.039 -0.043 0.2568
C 2.75970 -1.17928 0.64742 -0.048 -0.096 -0.106 0.0075
C 4.00791 -1.60481 0.32493 0.008 0.047 0.052 0.0360
C -3.66554 -2.34716 2.20922 0.067 -0.063 -0.037 0.0021
C -0.82687 0.52072 3.87097 0.059 -0.024 -0.029 -0.0009
C -1.49001 -4.45380 2.70570 -0.131 -0.051 0.006 0.0141
C -0.06151 -5.28102 -3.43561 -0.123 0.013 0.042 -0.1747
C 5.45145 4.48166 0.84893 0.061 -0.193 -0.014 0.0000
C -2.16296 0.72989 -1.38190 0.033 -0.058 -0.076 0.2123
C 2.04639 -4.21085 -2.99680 -0.002 -0.069 -0.100 -0.1370
C 1.51099 -3.52337 -1.94194 0.099 0.081 0.072 0.2653
C 0.41262 -0.42842 -3.42233 -0.041 0.014 -0.096 -0.0944
C 1.43600 3.03615 0.21171 -0.044 -0.018 -0.005 -0.0103
C -0.25790 -0.89146 3.48523 -0.049 -0.021 0.067 0.0015
C -3.61603 -4.89426 0.54891 0.049 0.035 0.012 -0.0068
C -1.30793 0.44684 -2.43895 -0.035 0.058 0.091 0.1772
C 5.16270 3.09514 0.54764 -0.249 0.228 0.011 -0.0005
C 3.90775 2.66784 0.32705 0.088 0.003 0.047 0.0020
C 1.71677 -1.76953 -0.14366 -0.114 0.050 0.037 -0.1303
C -0.08131 0.48109 -4.30122 0.009 0.018 0.023 0.1591
C 2.24659 -2.65975 -1.03528 -0.113 -0.036 -0.076 0.0070
C 2.98004 4.84010 0.67046 0.149 0.170 0.023 0.0000
C -0.47282 -2.97041 -0.67103 0.159 0.247 0.020 -0.2473
C -3.57288 1.67642 0.06958 0.045 0.011 0.016 0.1666
C -2.86637 0.68879 0.67477 -0.094 0.042 0.019 -0.1151
C 1.29315 -5.10608 -3.78226 0.041 0.113 0.121 0.4270
C -1.41954 -2.85475 0.16010 0.103 0.091 -0.060 -0.0938
C 1.35901 1.61329 -0.39433 0.301 -0.072 0.075 0.0182
H -0.76154 -3.76362 3.13351 0.000 0.093 0.001 -0.0031
H 0.24783 0.77779 -5.28096 -0.018 0.006 -0.024 0.0135
H -1.63906 -4.66456 -2.09010 -0.002 -0.033 -0.023 0.0735
H -4.42331 -2.85204 2.81518 -0.008 -0.009 0.012 0.0005
H -0.95157 -5.30082 2.27401 0.012 -0.007 -0.022 0.0014
H -0.70398 -5.94918 -3.99525 0.008 -0.007 -0.003 -0.0105
H -3.00116 -5.62103 0.01390 0.017 -0.026 -0.009 -0.0022
H -4.28987 -4.42571 -0.17118 -0.008 0.023 -0.021 0.0003
H -2.92453 0.37778 1.70385 -0.007 0.013 0.004 -0.0078
H 1.73845 -5.62666 -4.61635 -0.001 -0.015 -0.025 0.0458
H 0.92858 3.09030 1.17325 -0.038 -0.082 -0.041 -0.0004
H 3.09357 -4.04619 -3.21730 0.009 0.010 0.016 -0.0143
H 4.94505 -1.29790 0.76331 0.036 -0.011 -0.011 0.0023
H 2.54953 -0.45840 1.42528 0.041 0.004 0.029 0.0023
H -3.09401 -1.68532 2.86126 0.011 0.005 0.014 -0.0004
H -1.52446 1.97515 -3.86663 0.017 0.020 0.020 0.0102
H 4.40247 6.22294 1.09317 0.023 0.005 0.000 0.0000
H 1.28017 -1.05791 -3.54341 0.014 -0.002 0.004 -0.0029
********

Start at the top of the data earlier on and restate each line, ending with the one that has "1.40216 0.070".

Below is a molecular structure, C28H25F4MnN7O6SSi, with properties calculated with wB97M-V/def2-TZVPD.

energy above the lowest of the compared OMol25 structures with the same formula, charge and spin: 2.7928 eV
spin multiplicity: 6
HOMO-LUMO gap (alpha / beta): 3.885 / 6.247 eV
electronic energy: -113062.78776 eV
net charge: -2

```
73
Properties=species:S:1:pos:R:3:forces:R:3:mulliken_spin:R:1
Mn -0.21685 -1.10285 -0.03716 -0.100 0.165 0.054 3.4474
S 3.98316 -2.76245 -0.94714 0.035 0.073 0.074 0.0062
Si -2.52998 -3.60106 1.40216 0.070 0.170 0.012 -0.0594